New CRA campaign focuses on personal services businesses: Are you ready?

The Canada Revenue Agency is escalating their scrutiny of personal services businesses, and the consequences for breaching these tax rules can be severe. Find out what you need to know about the CRA’s campaign.

As more individuals and sole proprietors in Canada are choosing to incorporate, it has become essential to assess if the formed corporation is operating as a PSB and how that can impact the entity’s tax situation. The CRA is taking a closer look at the personal services business (PSB) rules that apply when:

Materials data that have nothing to do with the piece
********
# 1
K2CdO: relaxed, PBE.

Lattice parameters (Å, degrees): 8.3432 8.3432 7.0755 53.87 53.87 90.00
With the nearest neighbours (Å) after each atom.
Sites, in units of the cell vectors:
Cd (0.7500, 0.2500, 0.5000)  8 K 3.75-3.87, 2 O 3.91
O (0.2500, 0.7500, 0.5000)  4 K 2.54
Cd (0.0000, 0.0000, 0.0000)  8 K 3.75-3.87, 2 O 3.91
K (0.5028, 0.1250, 0.2500)  2 O 2.54
K (0.3750, 0.4972, 0.7500)  2 O 2.54
O (0.5000, 0.5000, 0.0000)  4 K 2.54
K (0.8750, 0.7528, 0.7500)  2 O 2.54
K (0.2472, 0.6250, 0.2500)  2 O 2.54

SG = I-42d (122)
Formation energy without anion corrections = -512 meV per atom
ρ = 2.5 g/cm³
DOS at the Fermi energy = 0.00 states/eV/f.u.
Crystal system = tetragonal



# 2
LuScAlNi: relaxed, PBE.

Lattice parameters (Å, degrees): 4.7633 4.7633 4.7633 60.00 60.00 60.00
With the nearest neighbours (Å) after each atom.
Sites, in units of the cell vectors:
Sc (0.5000, 0.5000, 0.5000)  4 Al 2.92, 4 Ni 2.92
Ni (0.2500, 0.2500, 0.2500)  4 Sc 2.92, 4 Lu 2.92
Al (0.7500, 0.7500, 0.7500)  4 Lu 2.92, 4 Sc 2.92
Lu (0.0000, 0.0000, 0.0000)  4 Ni 2.92, 4 Al 2.92

SG = F-43m (216)
ρ = 6.6 g/cm³
DOS at the Fermi energy = 3.57 states/eV/f.u.
Energy of formation = -0.3802 eV/atom
Crystal system = cubic



# 3
SrSi2NiIr: relaxed, PBE.

Lattice parameters (Å, degrees): 4.0997 4.0997 5.9853 110.03 110.03 90.00
With the nearest neighbours (Å) after each atom.
Sites, in units of the cell vectors:
Ni (0.2500, 0.7500, 0.5000)  4 Si 2.38
Si (0.6341, 0.6341, 0.2683)  2 Ni 2.38, 2 Ir 2.38
Ir (0.7500, 0.2500, 0.5000)  4 Si 2.38
Sr (0.0000, 0.0000, 0.0000)  8 Si 3.22, 4 Ir 3.33, 4 Ni 3.33
Si (0.3659, 0.3659, 0.7317)  2 Ni 2.38, 2 Ir 2.38

SG = I-4m2 (119)
Formation energy without anion corrections = -682 meV per atom
ρ = 7.4 g/cm³
DOS at the Fermi energy = 4.08 states/eV/f.u.
Crystal system = tetragonal
********
The materials data stop here

  • services are provided through a corporation, and
  • the individual doing the work would be considered an employee if they provided the services directly
Among its activities in this area, the CRA presented a webinar in February 2022 and sent stakeholder emails to educate corporations and advisers about the rules and how to comply with them.
In a stakeholder email sent in July 2022, the CRA said they would be contacting Canadian businesses from June to December 2022 to ask for documentation about their payer/payee relationships.
Taxpayer participation in the program will be voluntary, although businesses that take part will be advised to ensure they correct any errors and comply with the Income Tax Act.

The campaign seems to focus on industries that commonly hire service providers who may operate a PSB, such as trucking, IT consulting, accounting, construction and catering – all of which are named in the CRA’s webinar.

As more CRA activity on this front is possible,  this blog provides an overview of:

  • the relevant PSB rules to consider
  • some leading practices to consider for taxpayers that deliver services through a corporation


Rather than hiring employees directly, many taxpayers retain non-employees to provide services, whether to fill a short-term need, obtain specific expertise or otherwise fill a role that is not suited to a full-time position.

These situations carry significant income tax risk, and that risk depends on whether an individual or corporation is providing the services.

When the service provider is an individual, the key income tax issue is whether the individual is employed or self-employed. If the individual is self-employed but the CRA decides that they are in fact an employee, then the individual’s expense deductions may be denied. The payer may also be on the hook for income tax, Canada Pension Plan and Employment Insurance withholdings, as well as penalties for failing to make these withholdings. Both the payer and payee bear tax risk in these situations.

But where the payer engages a corporation to provide services, the income tax risks associated with the proper calculation and payment of tax rest mainly with the service provider. Assuming the provider is a Canadian-controlled private corporation, the tax rules require a determination as to whether the income is:
  • income from an active business that is eligible for the small business deduction, or
  • income from a PSB
If the payee treats the service income as eligible for small business tax rates but the CRA characterizes the income as earned from a PSB, a significant tax liability could arise for the payee. The payer is in no way affected by the income determination, however, which is one reason why many payers prefer to deal with service providers that are incorporated.
(Note that different rules apply when the corporation provides services to an associated corporation.)


With the CRA intensifying its outreach in this area and contacting taxpayers to voluntarily take part in an education program, we assume that other CRA activities in the future are possible. If you or your clients earn service income in a corporation, be sure to review whether the PSB rules apply and what action you may need to take. We will continue to monitor the situation — watch for updates as more information becomes available.


The views and opinions expressed in this article are those of the author and do not necessarily reflect that of Alvarez CPA Inc.